Brief:
Write out everything below unchanged.

Source:
- - -
*w*
C3H11N2S | wB97M-V/def2-TZVPD

Last column: Löwdin charge in e.
Geometry (Å):
S1 1.05 1.62 0.28  0.681
C1 2.58 0.80 -0.22  -0.653
N1 -3.65 -0.47 -1.16  0.015
H1 -1.62 -2.26 -0.27  0.061
C2 -3.33 -1.00 0.07  -0.350
H2 -2.14 -2.07 1.29  0.073
H3 3.28 0.51 1.79  0.066
H4 -3.20 -0.64 -2.03  0.059
N2 -2.23 -1.76 0.34  0.018
H5 0.30 1.13 -0.71  -0.157
H6 2.89 1.15 -1.21  0.061
H7 -4.29 0.28 -1.24  0.054
H8 4.60 0.64 0.60  0.069
H9 3.70 2.06 1.12  0.061
C3 3.61 1.00 0.87  -0.205
H10 -4.00 -0.70 0.87  0.081
H11 2.45 -0.28 -0.41  0.067

Computed properties:
* HOMO level (alpha / beta): -4.463 / -8.879 eV
* lowest unoccupied orbital energy (alpha / beta): 0.92 / 0.83 eV
* 2S+1: 2
* expectation value of S²: 0.753
* orbital gap (alpha / beta): 5.387 / 9.709 eV

---

*x*
C3H11N2S | wB97M-V/def2-TZVPD

Last column: Löwdin charge in e.
Geometry (Å):
N1 2.34 1.55 -0.15  -0.006
H1 -0.99 0.10 -1.61  0.034
C1 1.14 1.29 0.62  -0.293
H2 -1.51 0.63 0.77  0.060
H3 0.17 1.43 -1.59  0.063
S1 -1.72 -1.69 0.22  0.598
C2 -0.85 -0.23 0.85  -0.594
H4 3.15 1.03 0.17  0.073
H5 -1.88 -2.25 1.44  -0.152
H6 0.49 2.16 0.50  0.108
N2 0.00 0.41 -1.41  0.095
H7 -0.57 -0.33 1.90  0.079
H8 2.62 2.53 -0.13  0.068
H9 1.03 -0.79 -0.02  0.120
H10 0.66 -0.06 -2.07  0.062
C3 0.41 0.09 0.04  -0.428
H11 1.24 1.20 1.70  0.113

Computed properties:
* HOMO level (alpha / beta): -3.306 / -9.239 eV
* lowest unoccupied orbital energy (alpha / beta): 0.75 / 0.48 eV
* 2S+1: 2
* expectation value of S²: 0.751
* orbital gap (alpha / beta): 4.053 / 9.721 eV

---

*y*
C3H11N2S | wB97M-V/def2-TZVPD

Last column: Löwdin charge in e.
Geometry (Å):
H1 4.12 1.63 -0.62  0.068
H2 0.81 0.97 -1.95  0.053
H3 -3.92 -2.04 1.26  0.067
C1 -2.64 -0.28 0.68  -0.592
H4 4.77 0.14 -0.98  0.069
H5 -3.22 -1.12 2.52  0.053
N1 3.98 0.74 -1.07  0.011
C2 2.73 0.44 -1.52  -0.367
H6 2.57 -0.43 -2.17  0.085
S1 -0.85 0.20 0.73  0.638
H7 -3.14 0.68 0.90  0.053
C3 -3.03 -1.49 1.54  -0.165
H8 -0.52 -0.19 2.00  -0.139
N2 1.61 1.25 -1.42  -0.001
H9 -2.65 -0.47 -0.39  0.038
H10 1.59 2.17 -1.01  0.066
H11 -2.19 -2.20 1.51  0.065

Computed properties:
* HOMO level (alpha / beta): -4.219 / -8.814 eV
* lowest unoccupied orbital energy (alpha / beta): 1.08 / 1.06 eV
* 2S+1: 2
* expectation value of S²: 0.753
* orbital gap (alpha / beta): 5.299 / 9.873 eV

---

Which one is the least stable? From the structures above, *x*.

~~~~~

ORCA calculation (ωB97M-V/def2-TZVPD) on one molecule with the formula C5H7NOS in a non-equilibrium geometry.

Properties
HOMO	-7.9	eV
energy above the lowest of the compared OMol25 structures with the same formula, charge and spin	85.1	kcal per mole
E_tot	-19667.9137	eV
Kohn-Sham gap	8.8	eV

Structure (ORCA input):
```
! wB97M-V def2-TZVPD RIJCOSX def2/J DEFGRID3
* xyz 0 1
H -0.27 2.12 1.19
H 0.32 0.46 -1.36
H 0.13 -2.98 -0.54
C 0.55 0.66 -0.30
C 0.42 -2.01 -0.17
H 0.13 -0.14 1.64
S 2.17 0.17 0.13
N -1.62 1.97 -0.49
H -2.46 2.12 0.06
C -0.33 -0.04 0.65
H -1.85 1.28 -1.20
C 1.66 -1.52 -0.08
C -0.55 1.47 0.35
O -0.72 -1.30 0.23
H 2.44 -2.26 -0.11
*
```

Calculated atomic charges, method natural (NBO), unit e:
1 H 0.223
2 H 0.231
3 H 0.209
4 C -0.456
5 C 0.096
6 H 0.180
7 S 0.309
8 N -0.815
9 H 0.370
10 C 0.032
11 H 0.362
12 C -0.485
13 C -0.006
14 O -0.487
15 H 0.237
- - -

Completed:
*w*
C3H11N2S | wB97M-V/def2-TZVPD

Last column: Löwdin charge in e.
Geometry (Å):
S1 1.05 1.62 0.28  0.681
C1 2.58 0.80 -0.22  -0.653
N1 -3.65 -0.47 -1.16  0.015
H1 -1.62 -2.26 -0.27  0.061
C2 -3.33 -1.00 0.07  -0.350
H2 -2.14 -2.07 1.29  0.073
H3 3.28 0.51 1.79  0.066
H4 -3.20 -0.64 -2.03  0.059
N2 -2.23 -1.76 0.34  0.018
H5 0.30 1.13 -0.71  -0.157
H6 2.89 1.15 -1.21  0.061
H7 -4.29 0.28 -1.24  0.054
H8 4.60 0.64 0.60  0.069
H9 3.70 2.06 1.12  0.061
C3 3.61 1.00 0.87  -0.205
H10 -4.00 -0.70 0.87  0.081
H11 2.45 -0.28 -0.41  0.067

Computed properties:
* HOMO level (alpha / beta): -4.463 / -8.879 eV
* lowest unoccupied orbital energy (alpha / beta): 0.92 / 0.83 eV
* 2S+1: 2
* expectation value of S²: 0.753
* orbital gap (alpha / beta): 5.387 / 9.709 eV

---

*x*
C3H11N2S | wB97M-V/def2-TZVPD

Last column: Löwdin charge in e.
Geometry (Å):
N1 2.34 1.55 -0.15  -0.006
H1 -0.99 0.10 -1.61  0.034
C1 1.14 1.29 0.62  -0.293
H2 -1.51 0.63 0.77  0.060
H3 0.17 1.43 -1.59  0.063
S1 -1.72 -1.69 0.22  0.598
C2 -0.85 -0.23 0.85  -0.594
H4 3.15 1.03 0.17  0.073
H5 -1.88 -2.25 1.44  -0.152
H6 0.49 2.16 0.50  0.108
N2 0.00 0.41 -1.41  0.095
H7 -0.57 -0.33 1.90  0.079
H8 2.62 2.53 -0.13  0.068
H9 1.03 -0.79 -0.02  0.120
H10 0.66 -0.06 -2.07  0.062
C3 0.41 0.09 0.04  -0.428
H11 1.24 1.20 1.70  0.113

Computed properties:
* HOMO level (alpha / beta): -3.306 / -9.239 eV
* lowest unoccupied orbital energy (alpha / beta): 0.75 / 0.48 eV
* 2S+1: 2
* expectation value of S²: 0.751
* orbital gap (alpha / beta): 4.053 / 9.721 eV

---

*y*
C3H11N2S | wB97M-V/def2-TZVPD

Last column: Löwdin charge in e.
Geometry (Å):
H1 4.12 1.63 -0.62  0.068
H2 0.81 0.97 -1.95  0.053
H3 -3.92 -2.04 1.26  0.067
C1 -2.64 -0.28 0.68  -0.592
H4 4.77 0.14 -0.98  0.069
H5 -3.22 -1.12 2.52  0.053
N1 3.98 0.74 -1.07  0.011
C2 2.73 0.44 -1.52  -0.367
H6 2.57 -0.43 -2.17  0.085
S1 -0.85 0.20 0.73  0.638
H7 -3.14 0.68 0.90  0.053
C3 -3.03 -1.49 1.54  -0.165
H8 -0.52 -0.19 2.00  -0.139
N2 1.61 1.25 -1.42  -0.001
H9 -2.65 -0.47 -0.39  0.038
H10 1.59 2.17 -1.01  0.066
H11 -2.19 -2.20 1.51  0.065

Computed properties:
* HOMO level (alpha / beta): -4.219 / -8.814 eV
* lowest unoccupied orbital energy (alpha / beta): 1.08 / 1.06 eV
* 2S+1: 2
* expectation value of S²: 0.753
* orbital gap (alpha / beta): 5.299 / 9.873 eV

---

Which one is the least stable? From the structures above, *x*.

~~~~~

ORCA calculation (ωB97M-V/def2-TZVPD) on one molecule with the formula C5H7NOS in a non-equilibrium geometry.

Properties
HOMO	-7.9	eV
energy above the lowest of the compared OMol25 structures with the same formula, charge and spin	85.1	kcal per mole
E_tot	-19667.9137	eV
Kohn-Sham gap	8.8	eV

Structure (ORCA input):
```
! wB97M-V def2-TZVPD RIJCOSX def2/J DEFGRID3
* xyz 0 1
H -0.27 2.12 1.19
H 0.32 0.46 -1.36
H 0.13 -2.98 -0.54
C 0.55 0.66 -0.30
C 0.42 -2.01 -0.17
H 0.13 -0.14 1.64
S 2.17 0.17 0.13
N -1.62 1.97 -0.49
H -2.46 2.12 0.06
C -0.33 -0.04 0.65
H -1.85 1.28 -1.20
C 1.66 -1.52 -0.08
C -0.55 1.47 0.35
O -0.72 -1.30 0.23
H 2.44 -2.26 -0.11
*
```

Calculated atomic charges, method natural (NBO), unit e:
1 H 0.223
2 H 0.231
3 H 0.209
4 C -0.456
5 C 0.096
6 H 0.180
7 S 0.309
8 N -0.815
9 H 0.370
10 C 0.032
11 H 0.362
12 C -0.485
13 C -0.006
14 O -0.487
15 H 0.237